Assignment:
Retype the contents below from the line with "_cell_angle_alpha 90.00" to the end character by character, please.

Listing:
# 1
## K3Ba3Li2Al4B6O20F (PBE-GGA)

Data for a geometry-optimized K3Ba3Li2Al4B6O20F structure.

```
data_K3Ba3Li2Al4B6O20F
_cell_length_a 8.868
_cell_length_b 8.868
_cell_length_c 16.690
_cell_angle_alpha 90.00
_cell_angle_beta 90.00
_cell_angle_gamma 120.00
_space_group_name_H-M_alt 'P 1'
_space_group_IT_number 1
loop_
_space_group_symop_operation_xyz
'x,y,z'
loop_
_atom_site_label
_atom_site_fract_x
_atom_site_fract_y
_atom_site_fract_z
O1 0.883 0.468 0.860
O2 0.234 0.173 0.854
O3 0.586 0.117 0.640
O4 0.173 0.708 0.644
O5 0.827 0.061 0.854
O6 0.173 0.708 0.856
O7 0.173 0.234 0.146
O8 0.708 0.173 0.144
O9 0.586 0.117 0.860
O10 0.173 0.234 0.354
O11 0.061 0.827 0.354
O12 0.117 0.586 0.140
O13 0.414 0.532 0.360
O14 0.468 0.883 0.360
O15 0.333 0.667 0.500
O16 0.939 0.766 0.854
O17 0.465 0.292 0.144
O18 0.465 0.292 0.356
O19 0.667 0.333 0.000
O20 0.333 0.667 0.000
O21 0.939 0.766 0.646
O22 0.061 0.827 0.146
O23 0.117 0.586 0.360
O24 0.667 0.333 0.500
O25 0.883 0.468 0.640
O26 0.468 0.883 0.140
O27 0.532 0.414 0.640
O28 0.708 0.173 0.356
O29 0.766 0.939 0.354
O30 0.535 0.827 0.856
O31 0.827 0.535 0.356
O32 0.292 0.465 0.856
O33 0.535 0.827 0.644
O34 0.766 0.939 0.146
O35 0.292 0.465 0.644
O36 0.827 0.535 0.144
O37 0.414 0.532 0.140
O38 0.234 0.173 0.646
O39 0.827 0.061 0.646
O40 0.532 0.414 0.860
K1 0.705 0.705 0.000
K2 0.295 0.000 0.500
K3 0.295 0.000 0.000
K4 0.705 0.705 0.500
K5 0.000 0.295 0.500
K6 0.000 0.295 0.000
Al1 0.667 0.333 0.103
Al2 0.667 0.333 0.397
Al3 0.667 0.333 0.896
Al4 0.333 0.667 0.104
Al5 0.333 0.667 0.603
Al6 0.333 0.667 0.396
Al7 0.333 0.667 0.897
Al8 0.667 0.333 0.604
B1 0.655 0.005 0.858
B2 0.995 0.650 0.858
B3 0.650 0.995 0.142
B4 0.650 0.995 0.358
B5 0.350 0.345 0.858
B6 0.350 0.345 0.642
B7 0.995 0.650 0.642
B8 0.005 0.655 0.142
B9 0.655 0.005 0.642
B10 0.345 0.350 0.358
B11 0.345 0.350 0.142
B12 0.005 0.655 0.358
Li1 0.000 0.000 0.387
Li2 0.000 0.000 0.113
Li3 0.000 0.000 0.887
Li4 0.000 0.000 0.613
Ba1 0.304 0.988 0.750
Ba2 0.316 0.012 0.250
Ba3 0.696 0.684 0.250
Ba4 0.684 0.696 0.750
Ba5 0.012 0.316 0.750
Ba6 0.988 0.304 0.250
F1 0.000 0.000 0.000
F2 0.000 0.000 0.500
```

Computed properties:
Its space group is P-62c. As for the uncorrected energy: -7.037 eV/atom. The calculation puts the energy of formation at -119.79 eV per formula unit.


# 2
## Na5LiN2 (PBE-GGA)

Data for a geometry-optimized Na5LiN2 structure.

```
data_Na5LiN2
_cell_length_a 5.010
_cell_length_b 5.010
_cell_length_c 6.681
_cell_angle_alpha 87.52
_cell_angle_beta 87.52
_cell_angle_gamma 111.93
_space_group_name_H-M_alt 'P 1'
_space_group_IT_number 1
loop_
_space_group_symop_operation_xyz
'x,y,z'
loop_
_atom_site_label
_atom_site_fract_x
_atom_site_fract_y
_atom_site_fract_z
N1 0.072 0.381 0.770
N2 0.619 0.928 0.230
Na1 0.573 0.397 0.765
Na2 0.913 0.087 0.500
Na3 0.603 0.427 0.235
Na4 0.265 0.735 0.500
Na5 0.248 0.752 0.000
Li1 0.887 0.113 0.000
```

Computed properties:
For the energy above the most stable polymorph in this dataset, the calculation gives 0 meV/atom. Its space group is C2. As for the uncorrected energy: -2.965 eV/atom. The calculation puts the energy of formation at 0.75 eV per formula unit.

* * * * *

A plane-wave DFT calculation with PBE was carried out for a geometry-optimized AlMoN3 structure.

a = 5.498 Å, b = 7.422 Å, c = 7.627 Å
α = 92.44°, β = 98.91°, γ = 103.88°
Space group P-1 (No. 2)
Inequivalent atoms, fractional coordinates:
Al  0.050  0.338  0.021 [2 per cell]
Al  0.386  0.717  0.780 [2 per cell]
Mo  0.014  0.356  0.627 [2 per cell]
Mo  0.040  0.043  0.280 [2 per cell]
N  0.108  0.809  0.192 [2 per cell]
N  0.131  0.172  0.529 [2 per cell]
N  0.169  0.534  0.878 [2 per cell]
N  0.240  0.600  0.546 [2 per cell]
N  0.254  0.926  0.817 [2 per cell]
N  0.263  0.233  0.177 [2 per cell]

=====

A plane-wave DFT calculation with PBE was carried out for a geometry-optimized Nb3Al2Mo3 structure.

Response:
_cell_angle_alpha 90.00
_cell_angle_beta 90.00
_cell_angle_gamma 120.00
_space_group_name_H-M_alt 'P 1'
_space_group_IT_number 1
loop_
_space_group_symop_operation_xyz
'x,y,z'
loop_
_atom_site_label
_atom_site_fract_x
_atom_site_fract_y
_atom_site_fract_z
O1 0.883 0.468 0.860
O2 0.234 0.173 0.854
O3 0.586 0.117 0.640
O4 0.173 0.708 0.644
O5 0.827 0.061 0.854
O6 0.173 0.708 0.856
O7 0.173 0.234 0.146
O8 0.708 0.173 0.144
O9 0.586 0.117 0.860
O10 0.173 0.234 0.354
O11 0.061 0.827 0.354
O12 0.117 0.586 0.140
O13 0.414 0.532 0.360
O14 0.468 0.883 0.360
O15 0.333 0.667 0.500
O16 0.939 0.766 0.854
O17 0.465 0.292 0.144
O18 0.465 0.292 0.356
O19 0.667 0.333 0.000
O20 0.333 0.667 0.000
O21 0.939 0.766 0.646
O22 0.061 0.827 0.146
O23 0.117 0.586 0.360
O24 0.667 0.333 0.500
O25 0.883 0.468 0.640
O26 0.468 0.883 0.140
O27 0.532 0.414 0.640
O28 0.708 0.173 0.356
O29 0.766 0.939 0.354
O30 0.535 0.827 0.856
O31 0.827 0.535 0.356
O32 0.292 0.465 0.856
O33 0.535 0.827 0.644
O34 0.766 0.939 0.146
O35 0.292 0.465 0.644
O36 0.827 0.535 0.144
O37 0.414 0.532 0.140
O38 0.234 0.173 0.646
O39 0.827 0.061 0.646
O40 0.532 0.414 0.860
K1 0.705 0.705 0.000
K2 0.295 0.000 0.500
K3 0.295 0.000 0.000
K4 0.705 0.705 0.500
K5 0.000 0.295 0.500
K6 0.000 0.295 0.000
Al1 0.667 0.333 0.103
Al2 0.667 0.333 0.397
Al3 0.667 0.333 0.896
Al4 0.333 0.667 0.104
Al5 0.333 0.667 0.603
Al6 0.333 0.667 0.396
Al7 0.333 0.667 0.897
Al8 0.667 0.333 0.604
B1 0.655 0.005 0.858
B2 0.995 0.650 0.858
B3 0.650 0.995 0.142
B4 0.650 0.995 0.358
B5 0.350 0.345 0.858
B6 0.350 0.345 0.642
B7 0.995 0.650 0.642
B8 0.005 0.655 0.142
B9 0.655 0.005 0.642
B10 0.345 0.350 0.358
B11 0.345 0.350 0.142
B12 0.005 0.655 0.358
Li1 0.000 0.000 0.387
Li2 0.000 0.000 0.113
Li3 0.000 0.000 0.887
Li4 0.000 0.000 0.613
Ba1 0.304 0.988 0.750
Ba2 0.316 0.012 0.250
Ba3 0.696 0.684 0.250
Ba4 0.684 0.696 0.750
Ba5 0.012 0.316 0.750
Ba6 0.988 0.304 0.250
F1 0.000 0.000 0.000
F2 0.000 0.000 0.500
```

Computed properties:
Its space group is P-62c. As for the uncorrected energy: -7.037 eV/atom. The calculation puts the energy of formation at -119.79 eV per formula unit.


# 2
## Na5LiN2 (PBE-GGA)

Data for a geometry-optimized Na5LiN2 structure.

```
data_Na5LiN2
_cell_length_a 5.010
_cell_length_b 5.010
_cell_length_c 6.681
_cell_angle_alpha 87.52
_cell_angle_beta 87.52
_cell_angle_gamma 111.93
_space_group_name_H-M_alt 'P 1'
_space_group_IT_number 1
loop_
_space_group_symop_operation_xyz
'x,y,z'
loop_
_atom_site_label
_atom_site_fract_x
_atom_site_fract_y
_atom_site_fract_z
N1 0.072 0.381 0.770
N2 0.619 0.928 0.230
Na1 0.573 0.397 0.765
Na2 0.913 0.087 0.500
Na3 0.603 0.427 0.235
Na4 0.265 0.735 0.500
Na5 0.248 0.752 0.000
Li1 0.887 0.113 0.000
```

Computed properties:
For the energy above the most stable polymorph in this dataset, the calculation gives 0 meV/atom. Its space group is C2. As for the uncorrected energy: -2.965 eV/atom. The calculation puts the energy of formation at 0.75 eV per formula unit.

* * * * *

A plane-wave DFT calculation with PBE was carried out for a geometry-optimized AlMoN3 structure.

a = 5.498 Å, b = 7.422 Å, c = 7.627 Å
α = 92.44°, β = 98.91°, γ = 103.88°
Space group P-1 (No. 2)
Inequivalent atoms, fractional coordinates:
Al  0.050  0.338  0.021 [2 per cell]
Al  0.386  0.717  0.780 [2 per cell]
Mo  0.014  0.356  0.627 [2 per cell]
Mo  0.040  0.043  0.280 [2 per cell]
N  0.108  0.809  0.192 [2 per cell]
N  0.131  0.172  0.529 [2 per cell]
N  0.169  0.534  0.878 [2 per cell]
N  0.240  0.600  0.546 [2 per cell]
N  0.254  0.926  0.817 [2 per cell]
N  0.263  0.233  0.177 [2 per cell]

=====

A plane-wave DFT calculation with PBE was carried out for a geometry-optimized Nb3Al2Mo3 structure.